Formation Thèmes de recherche Projets en cours Publications


Formation Thèmes de recherche Projets en cours Publications
Pédagogique des
Opérationnel" et
(formation permanente
[email protected]
Avenue Bernard
BP 50105
95021 Cergy Pontoise
Doctorat en Sciences de Gestion (IAE Aix-en-Provence - ESSEC)
DEA de Sciences de Gestion (Université Paris X -HEC - ESSEC)
Maîtrise Administration des Entreprises (Université Paris X)
Maîtrise Econométrie (Université Paris X)
Thèmes de recherche
Management des Connaissances, Management par Projets, Stratégie
Industrie de la Santé, Industrie des Sports de Glisse, Professions Libérales
et Services Professionnels
Projets en cours
"Articulating Knowledge in the Service Context"
with Pr Timothy Devinney
(Director, Centre for Corporate Change, Australian Graduate School of
Management, Sydney, Australia)
The process of knowledge creation is critical to the success of the modern
corporation and the society in which it resides. The link between knowledge
creation and firm performance is well documented, if only understood to a
limited extent. This is particularly the case with respect to service
industries (e.g., law, accounting, consulting, etc.) where traditional
knowledge capture mechanisms (e.g., patents and licenses) are not readily
available. As service industries come to dominate many modern societies
greater understanding of the process of knowledge creation in these firms
becomes more salient to economic growth.
The purpose of the proposal is to aid in the development of a clearer
methodology for the understanding and articulation of processes for the
investigation of knowledge creation within service organizations.
(Funding offers wellcome - Details on Demand)
Publications académiques
Résoudre avec succés vos problématiques d 'entreprise. (avec C. Péron, G.
Sassier). Paris (France) : Ellipses, 2015
"Organisational knowledge and the project dimension" (L. Bourgeon, T.
Devinney), International Journal of Project Organisation and Management,
janv. 2010, Vol. 2, Numéro 3, p. 267-285
"Staffing Approach and Conditions for Collective Learning in Project Teams:
The Case of New Product Development Projects" (L. Bourgeon),
International Journal of Project Management, mai 2007, Vol. 25, Numéro 4,
p. 413-422
"Temporal Context of Organizational Learning in New Product Development
Projects" (L. Bourgeon), Creativity and Innovation Management, sept. 2002,
Vol. 11, Numéro 3, p. 175-183
"Emergence de l'oganisation transversale : vers de nouvelles modalités de
gestion du personnel participant aux projets" (L. Bourgeon), Management
International, janv. 2002, Vol. 6, Numéro 3, p. 35-48
"Nouveaux produits, temps et apprentissage organisationnel" (L. Bourgeon),
Revue Française de Gestion, janv. 2001, Numéro 132, p. 103-111
"La Capitalisation des apprentissages dans la gestion par projet des activités
de R&D" (C. Boisseau), Marketing, Stratégie et Organisations, janv. 1997
Organizational Learning in Project-based Organizations: The Case of New
Product Development Projects. In: A Focused Issue on Managing
Knowledge Assets and Organizational Learning (avec J. Tarondeau). Oxford
(Grande-Bretagne) : Elsevier, SANCHEZ R., HEENE A.. 2005
Opulence et innovation dans les organisations. In: Savoir gérer. Mélanges
en l'honneur de Jean-Claude Tarondeau (avec B. Demil). Paris (France) :
Vuibert, LE MOAL P., BOURGEON L.. 2003
L'apprentissage dans les organisations transversales : le cas de
l'organisation des projets de R&D. In: Le management stratégique des
compétences (avec J. Tarondeau). Paris (France) : Ellipses, QUELIN B.,
ARREGLE J.L.. 2000
Autres publications
Communications publiées
"Project Management in the Not-for-Profit Organizations: Idfentifying Issues
and Practices", In : 2008 PMI Global Congress Proceedings - Sydney,
Australia, PMI Global Congress. Sydney (Australia) : PMI Global Congress,
2008, p. 1-10.
"Linking Organizational Slack and Innovation: The Case of the French
Hospital Sector", avec B. Demil. In : Continuous Innovation and
Substainability: Designing the Road Ahead, CINet Conference 2006. Lucca
(Italy) : CINet, 2006.
"Staffing Project Teams and Career Development of Project Managers in the
Project-based Organization: Towards an Orthogonal Approach", In :
Proceedings of the 19th ANZAM Conference, Canberra (Australia) : ANZAM,
"Capitalization of Learning in Project-based Organization", In : Proceedings
of the 5th International CINet Conference, Sydney (Australie) : University of
Western Sydney, 2004.
"Staffing Approach and Organizational Learning in Project Teams. The Case
of New Product Development Projects", In : Proceedings of the Fifth
Conference on Organizational Knowledge, Learning and Capabilities,
Innsbruck (Autriche) : University of Innsbruck, 2004.
"Organizational Slack and Innovations: Some Evidence from the French
Hospital Sector", avec B. Demil. In : Proceedings of the 17th ANZAM
Conference. Surfing the Waves: Management Challenges-Management
Solutions, Fremantle (Australie) : ANZAM, 2003.
"Transferring Organizational Knowledge in Project-based Organization", In :
Proceedings of the Strategic Management Society: Intersections: Strategy
Across Conventional Boundaries, Baltimore (USA) : Strategic Management
Society, 2003.
"Team Building and Organizational Learning in New Product Development
Projects", In : Organizational Learning and Knowledge 5th International
Conference, Lancaster (Grande-Bretagne) : Lancaster University
Management School, 2003.
"Assessing the Performance of Project-based Organization in the
Development of New Products", avec E. Raufflet. In : Proceedings of the
SMS 22nd Annual International Conference, Paris (France) : SMS, 2002.
"Organisation par projets et performances des projets de développement de
nouveaux produits", In : AFZAM/INSAM VIth International Congress, Gold
Coast (Australie) : AFZAM/INSAM, 2002.
"Time and Organizational Learning in New Product Development Projects",
In : 3rd European Conference on Organizational Knowledge, Learning and
Capabilities, Athènes (Grèce) : ALBA (Athens Laboratory of Business
Administration), 2002.
"The Emergence of Team Organization: Towards a Redefinition of
Organizational Knowledge", In : Organizational Learning and Knowledge New Directions - 4th International Conference Proceedings, London, Ontario
(Canada) : Richard Ivey School of Business, 2001.
"Emergence de l'organisation par projet : vers une redéfinition du savoir
organisationnel", In : Congrès IFSAM. Taking Stock/Faisons le point,
Montréal (Canada) : UQAM-ESEG, 2000.
"Organizational Learning in Horizontal Organizational Structrures. The Case
of New Product Development Projects' Structure", avec J. Tarondeau. In :
Proceedings of the International Conference on Competence-based
Management, Helsinki (Finlande) : Helsinki University of Technology, 2000.
"La capitalisation des apprentissages dans l'organisation transversale. Le
cas des projets de développement de nouveaux produits", In : VIIIème
Conférence Internationale de Management Stratégique, Paris (France) :
Laboratoire Stratégie et Technologie Ecole Centrale de Paris, 1999.
"Slack organisationnel et innovation : le cas du secteur hospitalier français",
avec B. Demil. In : VIIIème Conférence Internationale de Management
Stratégique, Paris (France) : laboratoire Stratégie et Technologie Ecole
Centrale Paris, 1999.
"Organisation par projets, logiques de constitution des équipes-projet et
modes gestion de carrière des chefs de projet. Le cas des projets de
développement de nouveaux produits", In : VIIIème Conférence
Internationale de Management Stratégique, Paris (France) : Laboratoire
Stratégie et Technologie Ecole Centrale de Paris, 1999.
Le secteur du logiciel Open Source (L. Bourgeon, C. Péron, J. Knapen)Paris
(France) : CCMP, 2012 (Cas papier).
Le marché des mini-PC (L. Bourgeon, V. Galtier, C. Péron)Paris (France) :
CCMP, 2011 (Cas papier).
Industrie du surfboard: de l'artisanat local à l'industrie globale (L. Bourgeon,
C. Péron)Paris (France) : CCMP, 2010 (Cas multimédia).
French Auctioneers: From a Regulated Local Market to a Global Competitive
Environment (L. Bourgeon, C. Péron)Cranfield (UK) : ECCH, 2007 (Cas
Autres activités
Activités scientifiques
Membre d'un comité de lecture
Revue Française de Gestion, Lavoisier
Communications présentées à des conférences
"Organizational Knowledge and the Organization by Projects", (avec T. M.
Devinney). IRNOP IX, ESMT, Berlin, Allemagne, 11 oct. 2009
"Capitalization of Learning in Project-based Organization", 5th International
CINet Conference, University of Wester Sydney, Australia, 2004
"Staffing Approach and Organizational Learning in Project Teams: The Case
of New Product development Projects, The 5th Conference on
Knowledge, Learning and Capabilities, University of Innsbruck, Austria, 2004
"Organizational Slack and Innovation: Some Evidences from the French
Hospital Sector", ANZAM Conference, Perth, Australia, 2003
"Team Building and Organizational Learning in New Product Development
Projects", Organizational Knowledge and Learning - 5th International
Conference, Lancaster University, Lancaster, Great-Britain, 2003
"Knowledge Transfer in Project-based Organization", The European
Academy of Management, Bocconi, Milan Italy, 2003
"Assessing the Performance of Project-based Organization in the
Development of New Products", avec E. Raufflet (HEC-Montréal), Strategic
Management Society, 22th Annual International Conference, Paris, France,
"Organisation par Projets et Performance des Projets de développement de
Nouveaux Produits", ANZAM-IFSAM 6th International Congress, Gold
Australia, 2002
"What do we learn during new product development projects ?", The 11th
International Forum on Design Management Research and Eduction,
University, Boston, MA, 2002
"Temporal Context of Organizational Learning in New Product Development
Projects", The European Academy of Management, Stockholm School of
Entrepreneurship, Stockholm, 2002
"Time and Organizational Learning in New Product Development Projects",
3rd European Conference on Organizational Knowledge, Learning and
Athens Laboratory of Business Administration, Athens, Greece, 2002
"The Emergence of Project Team Organization: Towards a Redefinition of
Organizational Knowledge", 4th International Conference for Organizational
Learning and Knowledge Management, Richard Ivey School of Business,
London, Ontario (Canada), 2001.
"Logique de constitution des équipes projet et apprentissage organisationnel
dans les projets R&D", 10ème Conférence Internationale de l'Association
Internationale de Management Stratégique, Université de Laval, Québec,
Canada, 2001.
"Emergence de l'organisation par projets : vers une redéfinition du savoir
organisationnel", Conférence ASAC-IFSAM, Montréal, Canada, 2000.
These records of crystals were left in the article by mistake.
Record 1
VASP calculation (PBE) on a relaxed Sb2S3 crystal.

abc: 12.1339 3.8703 11.2308
angles: 90.00 90.00 90.00
Space group Pnma (No. 62)
Symmetry-distinct sites (fractional):
Sb (0.0340, 0.2500, 0.1718) (multiplicity 4)
Sb (0.1409, 0.7500, 0.4666) (multiplicity 4)
S (0.0453, 0.2500, 0.6249) (multiplicity 4)
S (0.1241, 0.7500, 0.0572) (multiplicity 4)
S (0.1992, 0.2500, 0.3121) (multiplicity 4)

Summary:
Calculated formation energy in eV/f.u.: -2.756

=====

Record 2
VASP calculation (PBE) on a relaxed LuCu2S2 crystal.

abc: 3.9328 3.9328 6.1861
angles: 90.00 90.00 120.00
Space group P-3m1 (No. 164)
Symmetry-distinct sites (fractional):
Lu (0.0000, 0.0000, 0.0000) (multiplicity 1)
Cu (0.3333, 0.6667, 0.3481) (multiplicity 2)
S (0.3333, 0.6667, 0.7430) (multiplicity 2)

Summary:
Calculated formation energy in eV/f.u.: -4.708

=====

Record 3
VASP calculation (PBE) on a relaxed CePO4 crystal.

abc: 6.4054 7.1544 8.8306
angles: 90.00 128.64 90.00
Space group P2_1/c (No. 14)
Symmetry-distinct sites (fractional):
"Organizational learning in horizontal organizational structures. The case of
new product development projects' structure", co-auteur Jean-Claude
Tarondeau, 5th International Conference on Competence-Based
Management, Helsinki, Finland, 2000.
"Organisation transversale et performances des projets de développement
de nouveaux produits", 9ème Conférence Internationale de l'Association
Internationale de Management Stratégique, Montpellier, 2000.
"Organizational learning in horizontal organizational structures. The case of
new product development projects' structure", co-auteur Jean-Claude
Tarondeau, 19th Annual International Conference Strategic Management
Society, Berlin, Germany, 1999.
"Organisational slack and innovation : An empirical research in the hospital
sector", co-auteur Benoît Demil, 19th Annual International Conference
Management Society, Berlin, Germany, 1999.
Direction d’une collection d’ouvrages
"Kit pratique - Résoudre avec succès vos problématiques d'entreprise" (avec
C. Péron, G. Sassier). Paris (France) : Ellipses, 2015
Affiliations et activités académiques
Strategic Management Society
Consultant auprès du Cabinet Nextep Health Care (Conseil en Stratégie,
What comes next are data records, not part of the article:
/*
No. 1
Entry from Materials Project: a relaxed MgSi crystal (PBE).

Properties
DFT total energy (eV per cell): -13.571
Space group: Cmcm, No. 63
Energy of formation from the pure elements (eV per atom): 0.1556

Unit cell a=5.6302 b=5.6302 c=4.3402 alpha=90.00 beta=90.00 gamma=149.04
Element x y z (fractional)
Mg 0.1684 0.8316 0.2500
Mg 0.8316 0.1684 0.7500
Si 0.4294 0.5706 0.2500
Si 0.5706 0.4294 0.7500


No. 2
Entry from Materials Project: a relaxed AlCu3O6 crystal (PBE).

Properties
Distance to the lowest polymorph of the same formula (meV/atom): 0
DFT total energy (eV per cell): -50.041
Space group: C2/m, No. 12
Energy of formation from the pure elements (eV per atom): -0.8432

Unit cell a=5.8995 b=5.8995 c=9.3414 alpha=61.75 beta=61.75 gamma=27.92
Element x y z (fractional)
O 0.6345 0.6345 0.0328
O 0.6811 0.6811 0.3336
O 0.3655 0.3655 0.9672
O 0.9589 0.9589 0.3977
O 0.3189 0.3189 0.6664
O 0.0411 0.0411 0.6023
Cu 0.8240 0.8240 0.3537
Cu 0.1760 0.1760 0.6463
Cu 0.5000 0.5000 0.0000
Al 0.5000 0.5000 0.5000


No. 3
Entry from Materials Project: a relaxed CoC2N2 crystal (PBE).

Properties
Distance to the lowest polymorph of the same formula (meV/atom): 0
DFT total energy (eV per cell): -161.169
Space group: Cmce, No. 64
Energy of formation from the pure elements (eV per atom): 0.2449

Unit cell a=4.8616 b=6.9089 c=13.9522 alpha=90.00 beta=90.00 gamma=44.72
Element x y z (fractional)
C 0.3699 0.9771 0.1034
C 0.6301 0.0229 0.8966
C 0.6301 0.8470 0.3966
C 0.3699 0.4771 0.3966
C 0.6301 0.5229 0.6034
C 0.3699 0.6530 0.8966
C 0.3699 0.1530 0.6034
C 0.6301 0.3470 0.1034
N 0.3891 0.5876 0.1067
N 0.6109 0.9767 0.1067
N 0.6109 0.9124 0.6067
N 0.6109 0.4767 0.3933
N 0.3891 0.0876 0.3933
N 0.6109 0.4124 0.8933
N 0.3891 0.0233 0.8933
N 0.3891 0.5233 0.6067
Co 0.0000 0.5284 0.5981
Co 0.0000 0.9716 0.0981
Co 0.0000 0.4716 0.4019
Co 0.0000 0.0284 0.9019


No. 4
Entry from Materials Project: a relaxed GaPd crystal (PBE).

Properties
DFT total energy (eV per cell): -9.289
Space group: R-3m, No. 166
Energy of formation from the pure elements (eV per atom): -0.5404

Unit cell a=4.4092 b=4.4092 c=4.4091 alpha=39.35 beta=39.35 gamma=39.35
Element x y z (fractional)
Ga 0.0000 0.0000 0.0000
Pd 0.5000 0.5000 0.5000


No. 5
Entry from Materials Project: a relaxed ZrSO crystal (PBE).

Properties
Maximum piezoelectric response (C/m2): 0.6
Distance to the lowest polymorph of the same formula (meV/atom): 0
DFT total energy (eV per cell): -99.937
Space group: P2_13, No. 198
Energy of formation from the pure elements (eV per atom): -2.8474

Unit cell a=5.7725 b=5.7725 c=5.7725 alpha=90.00 beta=90.00 gamma=90.00
Element x y z (fractional)
O 0.3442 0.1558 0.8442
O 0.6558 0.6558 0.6558
O 0.1558 0.8442 0.3442
O 0.8442 0.3442 0.1558
S 0.3308 0.3308 0.3308
S 0.6692 0.8308 0.1692
S 0.8308 0.1692 0.6692
S 0.1692 0.6692 0.8308
Zr 0.4294 0.9294 0.5706
Zr 0.5706 0.4294 0.9294
Zr 0.0706 0.0706 0.0706
Zr 0.9294 0.5706 0.4294


No. 6
*/
Back to the article:
Secteur Pharmaceutique)
Ad-hoc Reviewer for: Management International, Revue Française de
Expérience professionnelle
Visiting Reseach Fellow at the Centre for Corporate Change, AGSM,
University of New South Wales (Sydney, Australia)
Chargé de cours à l'Ecole Centrale de Paris
ATER - Université de Besançon
Chargé d'Etudes EUROSTAF : analyses stratégiques et financières des
laboratoires pharmaceutiques.